## Brief
Next, find the line further down that holds "energy: -173273.7682", then echo that line and all lines after it there.
## Entries
********
# C34H20BrCl2EuN6O7

C34H20BrCl2EuN6O7 as an isolated structure in a non-equilibrium geometry (ωB97M-V/def2-TZVPD, OMol25).

Geometry (Å):
Eu 1.300 0.267 0.626
C 3.184 -3.901 1.710
C 2.933 -2.549 1.510
N 1.732 -2.003 1.587
C 0.670 -2.788 1.922
C 0.852 -4.180 2.185
C 2.119 -4.716 2.052
C -0.280 -4.959 2.573
C -1.494 -4.399 2.694
C -1.712 -3.007 2.429
C -2.956 -2.421 2.556
C -3.088 -1.057 2.290
C -1.976 -0.349 1.890
N -0.761 -0.873 1.724
C -0.609 -2.201 2.018
H 4.184 -4.284 1.615
H 3.747 -1.865 1.286
H 2.265 -5.773 2.229
H -0.140 -6.010 2.773
H -2.339 -4.998 2.999
H -3.800 -3.017 2.871
H -4.035 -0.552 2.397
H -2.055 0.714 1.691
Br 5.264 0.124 -0.146
C 4.119 -0.205 -1.615
C 4.680 -0.170 -2.887
C 3.844 -0.391 -3.963
C 2.501 -0.635 -3.732
C 2.043 -0.662 -2.424
N 2.848 -0.453 -1.372
C 0.569 -0.934 -2.117
O -0.232 -0.867 -3.037
O 0.348 -1.182 -0.895
H 5.732 0.035 -3.010
H 4.240 -0.364 -4.967
H 1.788 -0.794 -4.524
O 4.945 5.085 2.275
C 4.220 4.208 1.905
C 3.579 4.017 0.566
O 3.555 4.825 -0.353
C 3.015 2.714 0.581
C 3.218 2.065 1.920
O 2.801 0.867 2.142
C 3.770 3.015 2.814
O 3.878 2.995 4.035
O 2.349 2.107 -0.323
N -8.240 0.401 -4.777
C -7.245 0.642 -4.262
C -6.006 0.943 -3.619
C -5.580 2.263 -3.521
C -4.381 2.557 -2.899
C -3.600 1.533 -2.367
C -4.022 0.207 -2.474
C -5.221 -0.082 -3.094
N -2.379 1.838 -1.737
C -1.734 3.060 -1.685
C -0.599 2.871 -0.969
N -0.536 1.565 -0.554
C -1.606 0.980 -1.028
H -6.187 3.058 -3.930
H -4.064 3.584 -2.824
H -3.415 -0.600 -2.102
H -5.545 -1.109 -3.180
H -2.110 3.925 -2.188
H 0.197 3.564 -0.753
H -1.810 -0.063 -0.908
Cl 0.727 0.015 4.435
C 0.706 1.748 4.191
Cl 0.080 2.288 2.579
H 1.734 2.139 4.265
H 0.019 2.194 4.904

Forces on atoms 1 to 6 (eV/Å):
-0.969 -0.500 -0.125
-0.460 -0.266 0.198
0.055 0.303 0.010
-0.316 -0.638 0.257
1.715 -0.803 -0.156
-0.632 1.012 -0.119

Results
calculated total energy: -173273.7682 eV
max |F|: 2.5 eV/A
HOMO level (spin up / spin down): -2.327 / -2.302 eV
E_LUMO (spin up / spin down): 1.41 / 1.55 eV
expectation value of S²: 15.806
gap between HOMO and LUMO (spin up / spin down): 3.7 / 3.9 eV
multiplicity: 8
net charge: -1

Computed Löwdin charges, given in elementary charges:
1. Eu 1.59
2. C -0.04
3. C -0.12
4. N 0.03
5. C -0.15
6. C -0.15
7. C -0.02
8. C -0.03
9. C -0.03
10. C -0.15
11. C -0.02
12. C -0.05
13. C -0.18
14. N 0.02
15. C -0.16
16. H 0.10
17. H 0.06
18. H 0.11
19. H 0.11
20. H 0.11
21. H 0.11
22. H 0.10
23. H 0.07
24. Br 0.85
25. C -0.70
26. C -0.11
27. C -0.05
28. C 0.00
29. C -0.17
30. N 0.03
31. C -0.65
32. O 0.03
33. O -0.18
34. H 0.09
35. H 0.11
36. H 0.11
37. O 0.12
38. C -0.26
39. C -0.38
40. O 0.03
41. C -0.34
42. C -0.39
43. O -0.27
44. C -0.34
45. O 0.03
46. O -0.17
47. N 0.15
48. C -0.20
49. C -0.24
50. C -0.02
51. C 0.00
52. C -0.15
53. C 0.02
54. C -0.01
55. N 0.01
56. C -0.03
57. C -0.10
58. N -0.02
59. C -0.16
60. H 0.12
61. H 0.10
62. H 0.12
63. H 0.12
64. H 0.10
65. H 0.11
66. H 0.11
67. Cl 0.59
68. C -0.91
69. Cl 0.59
70. H 0.01
71. H 0.02

---

# C24H43N2P3SeSm

C24H43N2P3SeSm as an isolated structure in a non-equilibrium geometry (ωB97M-V/def2-TZVPD, OMol25).

Geometry (Å):
Sm -1.453 0.651 -1.284
P -1.698 -1.828 0.351
P 1.294 -0.077 1.207
P 1.121 -1.214 -2.032
H -3.869 3.188 -4.983
C -3.621 2.101 -5.149
C -3.106 1.271 -4.230
H -2.536 1.709 -3.404
C -3.113 -1.559 1.506
C -0.879 -3.178 1.292
C -2.523 -2.848 -0.937
C 2.634 1.104 1.609
C 0.448 0.122 2.820
C 2.270 -1.562 1.677
C 0.909 -1.355 -3.855
C 1.413 -2.986 -1.671
C 2.871 -0.650 -2.024
H -3.863 1.816 -6.152
H -3.221 0.187 -4.252
H -3.821 -0.857 1.041
H -2.734 -1.077 2.417
H -3.631 -2.503 1.754
H -0.465 -2.808 2.238
H -0.045 -3.596 0.715
H -1.570 -4.002 1.532
H -3.061 -2.187 -1.632
H -3.233 -3.557 -0.488
H -1.766 -3.394 -1.517
H 3.161 0.711 2.494
H 2.230 2.095 1.851
H 3.331 1.179 0.772
H 1.225 0.122 3.602
H -0.263 -0.701 2.989
H -0.090 1.076 2.811
H 2.785 -1.322 2.614
H 3.002 -1.786 0.893
H 1.610 -2.423 1.831
H 1.809 -1.807 -4.303
H 0.743 -0.349 -4.278
H 0.037 -1.986 -4.088
********
## Done
calculated total energy: -173273.7682 eV
max |F|: 2.5 eV/A
HOMO level (spin up / spin down): -2.327 / -2.302 eV
E_LUMO (spin up / spin down): 1.41 / 1.55 eV
expectation value of S²: 15.806
gap between HOMO and LUMO (spin up / spin down): 3.7 / 3.9 eV
multiplicity: 8
net charge: -1

Computed Löwdin charges, given in elementary charges:
1. Eu 1.59
2. C -0.04
3. C -0.12
4. N 0.03
5. C -0.15
6. C -0.15
7. C -0.02
8. C -0.03
9. C -0.03
10. C -0.15
11. C -0.02
12. C -0.05
13. C -0.18
14. N 0.02
15. C -0.16
16. H 0.10
17. H 0.06
18. H 0.11
19. H 0.11
20. H 0.11
21. H 0.11
22. H 0.10
23. H 0.07
24. Br 0.85
25. C -0.70
26. C -0.11
27. C -0.05
28. C 0.00
29. C -0.17
30. N 0.03
31. C -0.65
32. O 0.03
33. O -0.18
34. H 0.09
35. H 0.11
36. H 0.11
37. O 0.12
38. C -0.26
39. C -0.38
40. O 0.03
41. C -0.34
42. C -0.39
43. O -0.27
44. C -0.34
45. O 0.03
46. O -0.17
47. N 0.15
48. C -0.20
49. C -0.24
50. C -0.02
51. C 0.00
52. C -0.15
53. C 0.02
54. C -0.01
55. N 0.01
56. C -0.03
57. C -0.10
58. N -0.02
59. C -0.16
60. H 0.12
61. H 0.10
62. H 0.12
63. H 0.12
64. H 0.10
65. H 0.11
66. H 0.11
67. Cl 0.59
68. C -0.91
69. Cl 0.59
70. H 0.01
71. H 0.02

---

# C24H43N2P3SeSm

C24H43N2P3SeSm as an isolated structure in a non-equilibrium geometry (ωB97M-V/def2-TZVPD, OMol25).

Geometry (Å):
Sm -1.453 0.651 -1.284
P -1.698 -1.828 0.351
P 1.294 -0.077 1.207
P 1.121 -1.214 -2.032
H -3.869 3.188 -4.983
C -3.621 2.101 -5.149
C -3.106 1.271 -4.230
H -2.536 1.709 -3.404
C -3.113 -1.559 1.506
C -0.879 -3.178 1.292
C -2.523 -2.848 -0.937
C 2.634 1.104 1.609
C 0.448 0.122 2.820
C 2.270 -1.562 1.677
C 0.909 -1.355 -3.855
C 1.413 -2.986 -1.671
C 2.871 -0.650 -2.024
H -3.863 1.816 -6.152
H -3.221 0.187 -4.252
H -3.821 -0.857 1.041
H -2.734 -1.077 2.417
H -3.631 -2.503 1.754
H -0.465 -2.808 2.238
H -0.045 -3.596 0.715
H -1.570 -4.002 1.532
H -3.061 -2.187 -1.632
H -3.233 -3.557 -0.488
H -1.766 -3.394 -1.517
H 3.161 0.711 2.494
H 2.230 2.095 1.851
H 3.331 1.179 0.772
H 1.225 0.122 3.602
H -0.263 -0.701 2.989
H -0.090 1.076 2.811
H 2.785 -1.322 2.614
H 3.002 -1.786 0.893
H 1.610 -2.423 1.831
H 1.809 -1.807 -4.303
H 0.743 -0.349 -4.278
H 0.037 -1.986 -4.088